Request:
Next, echo the rows underneath word for word.

Listing:
-- begin --
[1]
{"formula": "C5H11NOS", "method": "wB97M-V/def2-TZVPD", "homo_ev": -9.1, "spin_multiplicity": 1, "lumo_energy_ev": 0.80, "smiles": "C/C=N/[C@@H](S)[C@H](C)O", "total_energy_ha": -725.21379, "relative_energy_kcal_mol": 69.7, "symbols": ["C", "C", "N", "C", "S", "C", "C", "O", "H", "H", "H", "H", "H", "H", "H", "H", "H", "H", "H"], "xyz": [[2.873, -0.326, 0.626], [1.574, -0.795, -0.007], [0.745, -0.047, -0.646], [-0.507, -0.466, -1.179], [-0.952, -2.208, -1.760], [-1.692, -0.183, 0.058], [-2.342, 1.222, -0.005], [-1.123, -0.362, 1.364], [3.732, -0.605, -0.102], [2.922, 0.660, 0.708], [3.127, -0.805, 1.610], [1.299, -1.862, -0.058], [-0.628, 0.242, -2.080], [-1.069, -2.834, -0.509], [-2.417, -1.047, -0.039], [-3.374, 1.185, 0.388], [-2.264, 1.574, -1.063], [-1.534, 1.726, 0.567], [-0.374, 0.184, 1.322]]}

=====

[2]
{"formula": "C17H22N9O3RuS3", "method": "wB97M-V/def2-TZVPD", "homo_ev": [-10.3, -10.5], "spin_multiplicity": 5, "lumo_energy_ev": [-2.07, -3.62], "total_charge": 1, "total_energy_ha": -2668.87319, "relative_energy_kcal_mol": 4.2, "symbols": ["Ru", "C", "N", "C", "C", "N", "N", "C", "N", "N", "H", "H", "H", "H", "H", "H", "H", "H", "H", "H", "H", "N", "C", "N", "C", "C", "S", "C", "C", "S", "C", "N", "N", "H", "H", "H", "H", "H", "H", "O", "C", "C", "C", "C", "C", "C", "C", "O", "O", "H", "H", "H", "H", "H", "S"], "xyz": [[0.007, -1.579, -0.773], [-0.218, -1.243, 4.033], [1.128, -1.206, 3.475], [2.216, -1.525, 4.389], [1.255, -1.339, 2.122], [0.277, -1.652, 1.349], [2.534, -1.093, 1.641], [2.949, -0.817, 0.347], [4.223, -0.341, 0.296], [2.191, -0.968, -0.671], [-0.184, -0.809, 5.030], [-0.615, -2.261, 4.112], [-0.879, -0.627, 3.425], [1.910, -1.231, 5.389], [3.126, -0.961, 4.179], [2.454, -2.592, 4.397], [-0.572, -1.856, 1.855], [3.185, -0.814, 2.352], [4.833, -0.368, 1.092], [4.655, -0.209, -0.600], [2.615, -0.634, -1.530], [1.906, -1.648, -3.723], [0.566, -1.428, -3.931], [-0.292, -1.421, -2.949], [-1.593, -1.257, -3.409], [-1.689, -1.063, -4.745], [-0.134, -1.158, -5.476], [-2.675, -1.354, -2.417], [-4.012, -1.389, -2.638], [-4.849, -1.467, -1.137], [-3.337, -1.482, -0.303], [-2.298, -1.448, -1.090], [-3.208, -1.487, 1.059], [2.080, -2.362, -3.025], [2.464, -1.763, -4.554], [-2.571, -0.873, -5.333], [-4.538, -1.393, -3.577], [-4.076, -1.484, 1.572], [-2.549, -0.754, 1.351], [1.080, 2.659, -1.602], [0.256, 3.353, -0.763], [0.292, 4.747, -0.770], [-0.515, 5.482, 0.078], [-1.370, 4.834, 0.959], [-1.398, 3.453, 0.967], [-0.605, 2.685, 0.114], [-0.744, 1.192, 0.211], [-1.362, 0.708, 1.174], [-0.205, 0.512, -0.730], [1.567, 3.304, -2.126], [0.967, 5.253, -1.452], [-0.471, 6.563, 0.051], [-2.005, 5.400, 1.627], [-2.051, 2.920, 1.644], [0.278, -3.711, -0.967]]}

=====

[3]
-- stop --

Done:
[1]
{"formula": "C5H11NOS", "method": "wB97M-V/def2-TZVPD", "homo_ev": -9.1, "spin_multiplicity": 1, "lumo_energy_ev": 0.80, "smiles": "C/C=N/[C@@H](S)[C@H](C)O", "total_energy_ha": -725.21379, "relative_energy_kcal_mol": 69.7, "symbols": ["C", "C", "N", "C", "S", "C", "C", "O", "H", "H", "H", "H", "H", "H", "H", "H", "H", "H", "H"], "xyz": [[2.873, -0.326, 0.626], [1.574, -0.795, -0.007], [0.745, -0.047, -0.646], [-0.507, -0.466, -1.179], [-0.952, -2.208, -1.760], [-1.692, -0.183, 0.058], [-2.342, 1.222, -0.005], [-1.123, -0.362, 1.364], [3.732, -0.605, -0.102], [2.922, 0.660, 0.708], [3.127, -0.805, 1.610], [1.299, -1.862, -0.058], [-0.628, 0.242, -2.080], [-1.069, -2.834, -0.509], [-2.417, -1.047, -0.039], [-3.374, 1.185, 0.388], [-2.264, 1.574, -1.063], [-1.534, 1.726, 0.567], [-0.374, 0.184, 1.322]]}

=====

[2]
{"formula": "C17H22N9O3RuS3", "method": "wB97M-V/def2-TZVPD", "homo_ev": [-10.3, -10.5], "spin_multiplicity": 5, "lumo_energy_ev": [-2.07, -3.62], "total_charge": 1, "total_energy_ha": -2668.87319, "relative_energy_kcal_mol": 4.2, "symbols": ["Ru", "C", "N", "C", "C", "N", "N", "C", "N", "N", "H", "H", "H", "H", "H", "H", "H", "H", "H", "H", "H", "N", "C", "N", "C", "C", "S", "C", "C", "S", "C", "N", "N", "H", "H", "H", "H", "H", "H", "O", "C", "C", "C", "C", "C", "C", "C", "O", "O", "H", "H", "H", "H", "H", "S"], "xyz": [[0.007, -1.579, -0.773], [-0.218, -1.243, 4.033], [1.128, -1.206, 3.475], [2.216, -1.525, 4.389], [1.255, -1.339, 2.122], [0.277, -1.652, 1.349], [2.534, -1.093, 1.641], [2.949, -0.817, 0.347], [4.223, -0.341, 0.296], [2.191, -0.968, -0.671], [-0.184, -0.809, 5.030], [-0.615, -2.261, 4.112], [-0.879, -0.627, 3.425], [1.910, -1.231, 5.389], [3.126, -0.961, 4.179], [2.454, -2.592, 4.397], [-0.572, -1.856, 1.855], [3.185, -0.814, 2.352], [4.833, -0.368, 1.092], [4.655, -0.209, -0.600], [2.615, -0.634, -1.530], [1.906, -1.648, -3.723], [0.566, -1.428, -3.931], [-0.292, -1.421, -2.949], [-1.593, -1.257, -3.409], [-1.689, -1.063, -4.745], [-0.134, -1.158, -5.476], [-2.675, -1.354, -2.417], [-4.012, -1.389, -2.638], [-4.849, -1.467, -1.137], [-3.337, -1.482, -0.303], [-2.298, -1.448, -1.090], [-3.208, -1.487, 1.059], [2.080, -2.362, -3.025], [2.464, -1.763, -4.554], [-2.571, -0.873, -5.333], [-4.538, -1.393, -3.577], [-4.076, -1.484, 1.572], [-2.549, -0.754, 1.351], [1.080, 2.659, -1.602], [0.256, 3.353, -0.763], [0.292, 4.747, -0.770], [-0.515, 5.482, 0.078], [-1.370, 4.834, 0.959], [-1.398, 3.453, 0.967], [-0.605, 2.685, 0.114], [-0.744, 1.192, 0.211], [-1.362, 0.708, 1.174], [-0.205, 0.512, -0.730], [1.567, 3.304, -2.126], [0.967, 5.253, -1.452], [-0.471, 6.563, 0.051], [-2.005, 5.400, 1.627], [-2.051, 2.920, 1.644], [0.278, -3.711, -0.967]]}

=====

[3]